
Infanticide occurs in many nonhuman primates, although it depends on specific socio-ecological circumstances, and has been observed in a small number of field studies. The classic example is the elimination of unrelated offspring by polygynous males as they take over a harem (van Schaik and Janson 2000), a pattern also seen in other mammals, such as lions, Panthera leo (Packer and Pusey 1983). This is also the typical pattern in large-bodied platyrrhines, such as Alouatta (Galetti et al. 1994) and Cebus (Ramirez-Llorens et al. 2008).

In the small-bodied marmosets (Callithrix spp.), however, infanticide is related primarily to competition among breeding females (Digby 2000), a pattern observed in some other cooperatively breeding mammals, such as meerkats, Suricata suricatta (Clutton-Brock et al. 1998). Typically, the behaviour is perpetrated by one breeding female against the offspring of a second female, which is often known or assumed to be related (Digby and Saltzman 2009). This relatedness constitutes an additional difference in comparison with the typical male pattern.

Infanticide has now been well documented in the common marmoset, Callithrix jacchus, including at least seven records in free-ranging groups (Digby 1995; Roda and Pontes 1998; Lazaro-Perea et al. 2000; Melo et al. 2003; Sousa et al. 2005; Bezerra et al. 2007). The lack of records for other marmoset species may be a sampling artefact, in addition to the fact that the presence of multiple breeding females is likely a prerequisite for the behaviour (see Digby and Saltzman 2009). The present report on infanticide in the poorly known Callithrix flaviceps confirms this conclusion. This is not only the first report of the behaviour in this species, but also the first case involving the offspring of two different females in a free-ranging marmoset group. Otherwise, the circumstances, behaviour patterns and apparent strategies involved are similar to those in C. jacchus.

Study area

### Next to the article, the page also holds records of molecules
- - -
[1]
Below is C18H16N2O4PtS2Te as an isolated structure, with properties calculated with ωB97M-V/def2-TZVPD.

Output
**Charge**: -2
**Highest occupied orbital energy**: 0.0149 hartree
**Energy relative to the best compared isomer or geometry (same formula, charge and spin)**: 0.0 kcal per mole

Geometry as XYZ:
```
44
Properties=species:S:1:pos:R:3:forces:R:3
H 2.161413 2.640518 5.097359 0.00 0.00 0.00
C -2.987631 2.039268 -3.199336 -0.01 0.00 0.01
O -1.041161 -1.970605 2.471111 0.01 -0.08 0.03
O -1.041259 -0.723464 -4.575455 -0.09 0.01 -0.16
H -4.149916 1.957381 -6.373005 0.00 0.00 0.00
S 2.772537 -1.163640 -0.043724 0.01 0.00 -0.03
C -1.901727 0.291465 -4.443682 0.03 -0.03 -0.03
S 2.299615 0.019378 -2.757231 0.02 0.00 -0.01
Pt -0.339758 -1.308736 0.669199 -0.06 0.14 -0.01
C -1.269676 -2.480998 4.715900 -0.01 0.01 0.00
N -0.356473 -0.238259 -2.179133 -0.03 -0.03 0.13
Te -0.554809 -3.682040 -0.320043 0.00 -0.05 -0.02
C -3.569837 1.696328 -5.493578 0.00 0.00 0.00
C -0.712107 -1.609238 3.607452 0.02 0.04 0.05
O -1.539460 1.325145 -0.937540 -0.02 -0.06 -0.02
H -0.606011 -0.832538 -3.670082 0.05 -0.01 0.07
C 0.111377 -0.465703 3.942184 -0.02 -0.02 -0.06
H -2.521616 0.087492 -6.474009 0.00 0.00 0.00
H -3.088410 2.550356 -2.249418 0.00 0.01 0.00
C 4.017830 -0.054786 -2.170369 -0.01 0.02 -0.01
N 0.371385 -0.630560 -1.062726 0.07 0.01 0.00
C 1.169148 1.691960 3.484195 0.02 0.03 0.02
C -2.066824 1.000695 -3.238836 -0.02 0.00 0.02
C -2.663206 0.653693 -5.561071 0.00 -0.01 -0.01
C 0.562527 -0.322913 5.272686 0.01 0.00 0.04
C 0.425392 0.563202 2.976394 -0.03 0.01 -0.06
C -3.741368 2.400937 -4.306739 0.01 -0.01 0.00
C 4.145308 -1.237794 -1.232161 -0.01 0.02 0.02
H 4.090803 -2.177172 -1.784613 -0.01 0.00 0.00
H 5.076209 -1.207740 -0.663194 0.00 0.00 0.00
H -1.968108 -3.179358 4.263003 0.00 0.00 0.00
H -4.453666 3.215420 -4.246265 0.00 0.00 0.00
C 1.294525 0.751349 5.705314 0.00 0.00 -0.01
O 0.089232 0.569825 1.761920 0.08 -0.07 0.04
C 1.633189 -0.594794 -1.245030 0.00 -0.04 0.04
H -0.466301 -3.049183 5.189638 0.01 0.00 -0.01
H 0.330413 -1.106311 5.983924 0.00 0.01 0.00
H -1.765567 -1.887593 5.484876 -0.01 -0.01 0.00
H 4.267141 0.872614 -1.651932 0.00 0.00 0.00
H 1.391676 2.467846 2.762083 0.00 0.00 0.00
C 1.589271 1.774943 4.776518 -0.01 -0.01 -0.01
C -1.293056 0.697957 -1.968316 0.02 0.11 -0.04
H 4.661456 -0.158091 -3.046535 0.00 0.00 0.00
H 1.637502 0.813746 6.730267 0.00 0.00 0.00
```
Positions in Å, forces in eV/Å.

natural (NBO) atomic charge list, values in e, 5 entries:
1. H 0.19
2. C -0.15
3. O -0.55
4. O -0.72
5. H 0.18

[2]
Below is a 2-piece molecular cluster, C6H8N2O2 overall, with properties calculated with ωB97M-V/def2-TZVPD.

Output
**SMILES**: O=c1cc[nH]c(=O)[nH]1.C=C
**Highest occupied orbital energy**: -0.3444 hartree
**Energy relative to the best compared isomer or geometry (same formula, charge and spin)**: 66.2 kcal per mole

Geometry as XYZ:
```
18
Properties=species:S:1:pos:R:3:forces:R:3
N 3.734712 0.707829 -0.062874 2.47 2.61 -1.24
- - -

The study took place in the Augusto Ruschi Biological Reserve (19°52′S, 40°33′W) in the Brazilian state of Espírito Santo, which encompasses 3,589 ha of Atlantic Forest. Buffy-headed marmosets, Callithrix flaviceps, occur at relatively low densities within the reserve (Hilário 2009).

Materials and methods

One of us (R.R.H.) monitored the study group between October 2007 and December 2008. During habituation, in 2007, all adults and sub-adults were identified individually on the basis of natural variation in the pelage and marks such as scars, and all subjects were fully habituated to the presence of researchers, allowing observation from close quarters. Basic behavioural data were collected in scan samples (1-min scan at 5-min intervals: Ferrari and Rylands 1994) conducted continuously throughout the day on 6–9 days each month between January and December, 2008 (958 contact hours). Social dominance was established from an analysis of all-events records of agonistic interactions and food sharing (Hilário 2009). Additional data were collected ad libitum.


Group composition and births

General behaviour patterns were similar to those observed in other studies of C. flaviceps (Ferrari 1991; Guimarães 1998). The group contained 11–16 members during the course of the study period, including at least two and up to six adults of each sex (Fig. 1). One of the females (GZ) was socially dominant over all other group members, but did not reproduce. Of the other adult females, one (BT) was dominant over the others, and gave birth at the end of 2007, together with a second female, CA (Table 1). In October 2008, three adult males emigrated together from the study group. Less than 1 month later, three females (BT, NA and AN) all gave birth within the second week of November (Table 1). Five days later, CA also gave birth to twins.

Fig. 1
figure 1

Tenure of individuals in the group. Infanticides are marked with arrows. The infants born in November 2008 could not be distinguished and were denominated by IF + name of the mother

Table 1 Records of births in the C. flaviceps study group

First infanticide

The first infanticide occurred at 09:40 h on the day after the third birth. At this moment, an unidentified adult grappled with AN, who was carrying both her twins, and the two animals fell to the ground together from a height of approximately 2.5 m. In response to AN’s alarm vocalizations, other group members approached emitting excited “tsik” calls. After less than 20 s, the animals stopped grappling and moved away quickly, leaving one of the infants on the ground.

The female GZ and the adult male ES approached the fallen infant, and began to sniff, touch and lick it. The female CA approached, but was threatened by ES with “erh-erh” vocalizations and withdrew. Other group members observed in obvious distress from distances of 1–5 m. After 10 min, GZ placed the infant on her back and climbed up to a branch 3 m above the ground. Two sub-adults (BI and CI) and ES approached GZ to inspect the infant, while other individuals continued to observe from a distance.

By 10:05 h, the group moved on, but 1 h later, 100 m from the site of the attack, long calls were emitted and some individuals gathered round GZ and ES, which were on the ground touching the infant, now barely moving and already too weak to cling to GZ’s back. The hand of GZ was smeared with blood. A second adult female (DO) then began to smell, touch and lick the infant. This continued for about 15 min, when DO and ES moved away. At 11:40 h, the infant’s mother (AN) approached GZ and the infant, which was attracting flies. This appeared to irritate GZ, who tried to keep the flies away from the infant’s body.

After almost 15 min touching, sniffing and licking the infant, AN moved 10 m away and began suckling her other infant. All other group members, except GZ, had now moved out of sight, and she moved away only at 12:07 h, while AN remained in the same position, still suckling her infant. At this moment, it was possible to inspect the fallen infant, which was cold to the touch, but still breathing and vocalizing faintly. There was a deep bite mark on the top of its head, where the aggressor had apparently pierced the cranium with its canines.

The females AN and GZ moved away after 12:30 h to join the rest of the group. These two females remained in close proximity to one another for most of the rest of the day, which was typical of these two individuals (Hilário 2009). At the end of the day, they slept together in a roost 12 m from the rest of the group. On the next evening, two subgroups (the members of which could not be identified) roosted in the same tree but 3 m apart, and on the following night, AN and GZ once again slept together in a separate roost. Previously, the group had roosted in separate subgroups on only two occasions on 105 nights.

Second infanticide

The final birth occurred 4 days later. Between 15:15 and 15:20 h on the following day, contact was lost due to heavy rain, but the group was located through mobbing vocalizations, similar to those recorded during the first infanticide. At 15:37 h, the female BT was observed on a tall branch holding an infant in both hands and eating its head. The female CA was extremely agitated, twittering constantly and carrying only one infant. One of BT’s 1-year-old daughters was following her mother, as though trying to reach the dead infant.

The other members of the group had grown calm by this time, and had stopped vocalizing. When BT finished ingesting the infant’s head, she discarded the body, which fell to the ground. At this moment, the other group members moved on.

While she eventually grew calmer, CA remained in an agitated state until the end of the day, and waited for more than 20 min after other group members had roosted before retiring. As before, the victim’s mother slept with GZ in a roost separate from the rest of the group. Once these females had roosted, some other individuals moved from the main group to join them. On the next day, the group dispersed over a wide area, and used at least two different roosts 50 m apart.

All five surviving November infants were still alive in December, and remained in the group until the end of the study, when they were a month old. Behaviour was ostensibly normal, and adults cared for infants cooperatively. As each subordinate female was left with only a single offspring, it was possible to confirm that they carried the offspring of other females, given that they were sometimes seen with two infants. It was not possible to tell whether BT engaged in alloparenting behaviour, however.


While the perpetrator of the first infanticide was not identified, four individuals can be discounted: GZ, ES and DO, who attempted to rescue the infant, and NA, who was not near the attack. Of the other three adults in the group at the time, the male is an unlikely candidate, CA was at the end of her gestation and BT was still carrying her own newborn twins. The fact that BT was socially dominant and perpetrated the subsequent infanticide makes her the most likely candidate, but this evidence is inconclusive.

The timing of births may be a decisive factor in most cases. As infant caregivers constitute an important resource for callitrichid breeding females (Terborgh and Goldizen 1985), the presence of additional infants obviously reduces its availability. In the present case, the occurrence of seven births within a 10-day period implies that potential competition for caregivers was abnormally intense.

An additional question is why only two infanticides were committed, when other infants remained in the group. Pre-emptive behaviour such as roosting separately may have reduced the risk of further attacks, and mothers may have been more agile when carrying a single infant, and thus more able to avoid attacks. From a broader perspective, assuming the females are closely related, the perpetrator’s motivation may have been mediated by both proximate (familiarity) and ultimate (inclusive fitness) factors. As infanticide is generally limited to a single victim from each litter, even in captivity (Kirkpatrick-Tanner et al. 1996; Bardi et al. 1998), there may be a specific control mechanism.

All previous infanticides in free-ranging marmosets were perpetrated by pregnant females (Digby and Saltzman 2009), so this is the first report for a post-partum female. Saltzman and Abbott (2005) attribute the absence of infanticide in post-partum C. jacchus females to (1) a lack of cues for the recognition of their own infants or (2) inhibition of aggression by the hormones that stimulate care-giving behaviour. The former factor would have been irrelevant here, given that all infants were being carried exclusively by their mothers when the infanticides occurred. Any hormonal mechanism may have been outweighed by the abnormal concentration of parous females in the group.

Cannibalism is a component of around half the infanticides in marmosets (Bezerra et al. 2007), although its motivation is unclear. If this were nutritional—as suggested by Melo et al. 2003—it is unclear why the perpetrator typically ingests only the head. It seems more likely that the perpetrator engages in a typical attack on a prey animal, biting first at the head to subdue the victim. Presumably, it may then ingest part of the head either incidentally or instinctively.

While literally dozens of behavioural field studies involving all six callitrichid genera are now available (Digby et al. 2007), infanticide has only been recorded in the wild in C. jacchus, Saguinus fuscicollis (Tirado-Herrera et al. 2000) and, now, C. flaviceps. It seems unlikely that this behaviour is restricted to these species, given that De Vleeschouwer et al. (2001) and Price and McGrew (1991) have recorded it in captive Leontopithecus rosalia and Saguinus oedipus, respectively, but it is dependent on specific prerequisites, such as the presence of multiple breeding females, and the timing of births. Given this, the large number of records for C. jacchus may simply reflect the number of field studies of this species, the presence of two breeding females in many groups and pronounced birth peaks (Digby and Saltzman 2009).

Polygyny appears to be less common in other callitrichids, although it has been recorded in free-ranging L. rosalia and three species of Saguinus (Smith et al. 2001). Rather than being the norm, as in some populations of C. jacchus and possibly C. flaviceps, Dietz and Baker (1993) recorded multiple breeding females in only 10% of L. rosalia groups. In most cases (but not all; Calegaro-Marques et al. 1995; Goldizen et al. 1996), subordinate females not only give birth to fewer offspring, but the survival rate of these infants tends to be lower than that of dominant females. Given the observations in C. jacchus and C. flaviceps, it would seem reasonable to assume that, in at least some of these cases, the disappearance of the offspring of subordinate females has been due to infanticide.